'''
1.
Below is an optimized crystal structure of Rb2Th3MgMo8O32, with properties calculated at the GGA+U level.

```
data_Rb2Th3MgMo8O32
_chemical_formula_sum 'Rb4 Th6 Mg2 Mo16 O64'
_symmetry_space_group_name_H-M 'P 1'
_symmetry_Int_Tables_number 1
_cell_length_a 9.606
_cell_length_b 13.207
_cell_length_c 13.207
_cell_angle_alpha 88.29
_cell_angle_beta 90.15
_cell_angle_gamma 90.15
loop_
_symmetry_equiv_pos_as_xyz
'x,y,z'
loop_
_atom_site_label
_atom_site_type_symbol
_atom_site_fract_x
_atom_site_fract_y
_atom_site_fract_z
O1 O 0.665 0.884 0.961
O2 O 0.868 0.627 0.866
Mo1 Mo 0.253 0.967 0.609
Mo2 Mo 0.452 0.094 0.144
O3 O 0.423 0.805 0.856
Mo3 Mo 0.247 0.391 0.033
O4 O 0.345 0.239 0.416
Mo4 Mo 0.464 0.346 0.412
O5 O 0.651 0.377 0.733
O6 O 0.585 0.335 0.515
Mo5 Mo 0.529 0.351 0.831
Mo6 Mo 0.747 0.033 0.391
Rb1 Rb 0.062 0.623 0.141
O7 O 0.577 0.195 0.144
O8 O 0.214 0.295 0.941
O9 O 0.874 0.054 0.672
O10 O 0.463 0.025 0.872
O11 O 0.714 0.941 0.295
O12 O 0.151 0.733 0.377
O13 O 0.087 0.153 0.545
O14 O 0.632 0.134 0.373
O15 O 0.786 0.705 0.059
O16 O 0.963 0.872 0.025
O17 O 0.147 0.741 0.913
Mo7 Mo 0.536 0.654 0.588
O18 O 0.863 0.427 0.457
O19 O 0.368 0.866 0.627
O20 O 0.626 0.328 0.946
Th1 Th 0.660 0.369 0.131
O21 O 0.913 0.847 0.455
O22 O 0.054 0.291 0.357
Mg1 Mg 0.250 0.589 0.411
O23 O 0.647 0.913 0.741
O24 O 0.930 0.800 0.237
Mo8 Mo 0.048 0.856 0.906
Mo9 Mo 0.971 0.169 0.649
Th2 Th 0.250 0.130 0.870
O25 O 0.422 0.386 0.083
O26 O 0.070 0.200 0.763
O27 O 0.155 0.584 0.761
O28 O 0.446 0.643 0.709
Mo10 Mo 0.952 0.144 0.094
O29 O 0.374 0.672 0.054
Rb2 Rb 0.562 0.141 0.623
O30 O 0.922 0.083 0.386
O31 O 0.707 0.979 0.517
O32 O 0.849 0.267 0.623
O33 O 0.570 0.763 0.200
O34 O 0.293 0.021 0.483
Th3 Th 0.160 0.131 0.369
O35 O 0.349 0.623 0.267
O36 O 0.578 0.614 0.917
O37 O 0.363 0.457 0.427
O38 O 0.415 0.665 0.485
O39 O 0.413 0.455 0.847
O40 O 0.078 0.917 0.614
Th4 Th 0.750 0.870 0.130
O41 O 0.137 0.573 0.543
Mo11 Mo 0.964 0.412 0.346
O42 O 0.853 0.259 0.087
O43 O 0.946 0.709 0.643
Mo12 Mo 0.548 0.906 0.856
O44 O 0.207 0.517 0.979
O45 O 0.335 0.116 0.039
O46 O 0.430 0.237 0.800
Rb3 Rb 0.438 0.859 0.377
O47 O 0.165 0.961 0.884
Mo13 Mo 0.036 0.588 0.654
O48 O 0.655 0.761 0.584
O49 O 0.126 0.946 0.328
Mo14 Mo 0.029 0.831 0.351
O50 O 0.637 0.543 0.573
O51 O 0.037 0.128 0.975
O52 O 0.132 0.373 0.134
Th5 Th 0.840 0.869 0.631
O53 O 0.923 0.856 0.805
O54 O 0.077 0.144 0.195
O55 O 0.587 0.545 0.153
Mo15 Mo 0.471 0.649 0.169
O56 O 0.537 0.975 0.128
Rb4 Rb 0.938 0.377 0.859
O57 O 0.353 0.087 0.259
Mo16 Mo 0.753 0.609 0.967
O58 O 0.915 0.485 0.665
O59 O 0.793 0.483 0.021
O60 O 0.845 0.416 0.239
Mg2 Mg 0.750 0.411 0.589
O61 O 0.835 0.039 0.116
O62 O 0.286 0.059 0.705
O63 O 0.554 0.357 0.291
O64 O 0.085 0.515 0.335
Th6 Th 0.340 0.631 0.869
```

Summary:
* crystal system: monoclinic
* space-group type: C2/c, No. 15
* energy: -7.418 eV/atom
* ΔE_f: -2564 meV per atom


2.
Below is an optimized crystal structure of Li4V3P8O29, with properties calculated at the GGA+U level.

```
data_Li4V3P8O29
_chemical_formula_sum 'Li8 V6 P16 O58'
_symmetry_space_group_name_H-M 'P 1'
_symmetry_Int_Tables_number 1
_cell_length_a 9.790
_cell_length_b 9.826
_cell_length_c 14.233
_cell_angle_alpha 89.76
_cell_angle_beta 89.75
_cell_angle_gamma 60.22
loop_
_symmetry_equiv_pos_as_xyz
'x,y,z'
loop_
_atom_site_label
_atom_site_type_symbol
_atom_site_fract_x
_atom_site_fract_y
_atom_site_fract_z
O1 O 0.768 0.005 0.580
V1 V 0.006 0.430 0.243
O2 O 0.483 0.334 0.674
O3 O 0.245 0.986 0.070
O4 O 0.657 0.087 0.336
O5 O 0.254 0.656 0.331
O6 O 0.012 0.748 0.434
P1 P 0.767 0.323 0.161
P2 P 0.329 0.338 0.631
P3 P 0.319 0.912 0.160
V2 V 0.996 0.569 0.755
O7 O 0.618 0.904 0.678
O8 O 0.519 0.102 0.822
O9 O 0.253 0.085 0.838
O10 O 0.479 0.905 0.177
Li1 Li 0.686 0.220 0.552
O11 O 0.334 0.488 0.171
Li2 Li 0.687 0.087 0.064
O12 O 0.094 0.521 0.321
V3 V 0.569 0.998 0.252
O13 O 0.662 0.258 0.832
O14 O 0.749 0.915 0.160
O15 O 0.244 0.751 0.931
O16 O 0.488 0.187 0.166
P4 P 0.085 0.680 0.342
'''

The reader should duplicate the part of the listing further up that starts with the line with "Th1 Th" and stops after the one with "C2/c, No.".

Th1 Th 0.660 0.369 0.131
O21 O 0.913 0.847 0.455
O22 O 0.054 0.291 0.357
Mg1 Mg 0.250 0.589 0.411
O23 O 0.647 0.913 0.741
O24 O 0.930 0.800 0.237
Mo8 Mo 0.048 0.856 0.906
Mo9 Mo 0.971 0.169 0.649
Th2 Th 0.250 0.130 0.870
O25 O 0.422 0.386 0.083
O26 O 0.070 0.200 0.763
O27 O 0.155 0.584 0.761
O28 O 0.446 0.643 0.709
Mo10 Mo 0.952 0.144 0.094
O29 O 0.374 0.672 0.054
Rb2 Rb 0.562 0.141 0.623
O30 O 0.922 0.083 0.386
O31 O 0.707 0.979 0.517
O32 O 0.849 0.267 0.623
O33 O 0.570 0.763 0.200
O34 O 0.293 0.021 0.483
Th3 Th 0.160 0.131 0.369
O35 O 0.349 0.623 0.267
O36 O 0.578 0.614 0.917
O37 O 0.363 0.457 0.427
O38 O 0.415 0.665 0.485
O39 O 0.413 0.455 0.847
O40 O 0.078 0.917 0.614
Th4 Th 0.750 0.870 0.130
O41 O 0.137 0.573 0.543
Mo11 Mo 0.964 0.412 0.346
O42 O 0.853 0.259 0.087
O43 O 0.946 0.709 0.643
Mo12 Mo 0.548 0.906 0.856
O44 O 0.207 0.517 0.979
O45 O 0.335 0.116 0.039
O46 O 0.430 0.237 0.800
Rb3 Rb 0.438 0.859 0.377
O47 O 0.165 0.961 0.884
Mo13 Mo 0.036 0.588 0.654
O48 O 0.655 0.761 0.584
O49 O 0.126 0.946 0.328
Mo14 Mo 0.029 0.831 0.351
O50 O 0.637 0.543 0.573
O51 O 0.037 0.128 0.975
O52 O 0.132 0.373 0.134
Th5 Th 0.840 0.869 0.631
O53 O 0.923 0.856 0.805
O54 O 0.077 0.144 0.195
O55 O 0.587 0.545 0.153
Mo15 Mo 0.471 0.649 0.169
O56 O 0.537 0.975 0.128
Rb4 Rb 0.938 0.377 0.859
O57 O 0.353 0.087 0.259
Mo16 Mo 0.753 0.609 0.967
O58 O 0.915 0.485 0.665
O59 O 0.793 0.483 0.021
O60 O 0.845 0.416 0.239
Mg2 Mg 0.750 0.411 0.589
O61 O 0.835 0.039 0.116
O62 O 0.286 0.059 0.705
O63 O 0.554 0.357 0.291
O64 O 0.085 0.515 0.335
Th6 Th 0.340 0.631 0.869
```

Summary:
* crystal system: monoclinic
* space-group type: C2/c, No. 15